Nature’s first green is gold….*

October 1, 2019
Well, the first day turned out to be quite all right. I arrived early at the rendezvous location, the Weybridge Hill Church, unloaded my bike and began packing my backpack with the necessities that I would need for the three legs of the days tour. John Derick arrived in his pickup and greeted me with a friendly salutation. Seeing the bike, he assumed that I was the one that he was to meet for shuttling me and my bike to Chimney Point, the eastern end of the Champlain Bridge, my starting point. Katherine from the Middlebury Area Land Trust recruited John to give me the ride and also joined us for a send off. She knew that John was the one to bring me up to speed with the Trails Around Middlebury and the organization’s initiative in establishing the North Country Trail in Vermont. As it turns out, he was the perfect person for me to meet on my first day. I have had the privilege to meet exceptional people who dedicate themselves to a cause or project for good and put their heart, soul, sweat and tears into it, but never before, have I met someone as exceptional as John and his work on the TAM. In the relatively short time that it took to travel in reverse direction, the route that I was to take, I learned so much about the TAM, and John’s advocacy and down to earth (literally) trail work for the North Country Trail.

-- Between two parts of the article: molecular data --
[1]
Below is a cluster of 3 separate species, CH7NO2 in total in a non-equilibrium geometry, with properties calculated with the ωB97M-V functional and the def2-TZVPD basis.

Geometry as XYZ:
```
11
Properties=species:S:1:pos:R:3:mulliken_charge:R:1
C 3.99 -0.45 0.18 -0.214
N 3.79 0.53 0.94 -0.467
H 3.59 -0.50 -0.90 0.220
H 4.66 -1.29 0.56 0.207
H 3.73 0.19 1.86 0.255
H -0.24 2.18 -1.80 0.325
H -1.57 1.50 -2.07 0.307
O -0.94 2.05 -2.46 -0.633
H -5.41 -0.68 1.10 0.307
H -5.79 -2.04 1.68 0.316
O -5.80 -1.49 0.91 -0.623
```

## Properties
DFT total energy in eV: -6733.8024
Energy above the lowest of the compared OMol25 structures with the same formula, charge and spin in kcal/mol: 35.5
Frontier orbital gap in eV: 10.55
Spin multiplicity: 1
Molar mass in g/mol: 65.07

***

[2]
Below is a structure of composition C3HFMnO2 in a non-equilibrium geometry, with properties calculated with the ωB97M-V functional and the def2-TZVPD basis.

Geometry as XYZ:
```
8
Properties=species:S:1:pos:R:3:lowdin_spin:R:1
C 0.77 0.20 -0.64 0.029
C -0.20 1.09 -0.83 0.021
O -0.57 1.51 0.43 0.026
C 0.11 0.88 1.38 0.029
O 0.95 0.01 0.69 0.048
F 1.58 -0.42 -1.44 0.005
H -0.65 1.54 -1.71 0.000
Mn -1.97 -2.06 0.65 4.842
```

## Properties
DFT total energy in eV: -41252.7595
Energy above the lowest of the compared OMol25 structures with the same formula, charge and spin in kcal/mol: 40.3
<S²>: 8.7637
Frontier orbital gap (alpha / beta) in eV: 7.15 / 5.00
Spin multiplicity: 6
Molar mass in g/mol: 142.98

***

[3]
Below is a structure of composition C25H43N6O4V in a non-equilibrium geometry, with properties calculated with the ωB97M-V functional and the def2-TZVPD basis.

Geometry as XYZ:
```
79
Properties=species:S:1:pos:R:3:lowdin_spin:R:1
O -0.29 -0.39 0.62 -0.215
V -1.69 -0.24 -0.07 1.177
O -5.45 0.75 -1.15 0.001
C -4.17 0.47 -0.84 0.001
O -3.18 1.17 -0.97 0.000
O -3.84 -0.62 -0.30 -0.002
H -5.44 1.63 -1.54 0.000
C -0.38 -3.00 -5.32 0.000
C 0.29 -3.78 -4.18 0.000
C -0.70 -4.11 -3.04 0.001
C -1.14 -2.96 -2.27 0.004
N -1.50 -2.06 -1.61 0.001
H -1.19 -3.54 -5.81 0.000
H 0.41 -2.77 -6.04 0.000
H -0.76 -2.03 -5.02 0.000
H 1.19 -3.34 -3.76 0.000
H 0.55 -4.77 -4.56 0.000
H -0.28 -4.86 -2.37 0.000
H -1.58 -4.65 -3.39 0.000
C 1.48 3.59 -3.40 0.000
C 2.08 2.26 -3.98 0.000
C 1.07 1.13 -4.14 0.000
C 0.25 0.76 -2.97 0.002
N -0.33 0.46 -2.02 -0.001
H 0.63 3.98 -3.96 0.000
H 2.21 4.39 -3.35 0.000
H 1.17 3.40 -2.37 0.000
H 2.85 1.90 -3.29 0.000
H 2.40 2.50 -5.00 0.000
H 1.56 0.23 -4.51 0.000
H 0.33 1.41 -4.89 0.000
C -4.14 1.80 5.44 0.000
C -2.68 1.35 5.61 0.000
C -2.38 0.09 4.81 0.000
C -2.44 0.27 3.36 0.002
N -2.48 0.40 2.22 0.013
H -4.43 2.29 4.51 0.000
H -4.43 2.46 6.26 0.000
H -4.86 1.01 5.62 0.000
H -2.40 1.19 6.66 0.000
H -2.02 2.12 5.21 0.000
H -3.10 -0.67 5.12 0.000
H -1.38 -0.26 5.04 0.000
C 3.18 -0.07 -1.13 0.000
C 2.99 0.13 0.41 0.000
C 4.25 0.53 1.13 0.000
C 5.50 -0.25 0.85 0.000
N 6.45 -0.86 0.62 0.000
H 3.93 -0.82 -1.36 0.000
H 3.56 0.87 -1.52 0.000
H 2.31 -0.37 -1.71 0.000
-- The molecular data stop here --

After a whirlwind of stories between us on first meeting, John parted as I secured my pack straps to begin my slog along Route 125 to Town Line Road. Just as John drove away, rain drops began to fall and I thought, “Ugh, here we go. This could suck.” However, the wall of rain on the radar that was threatening from the west never overcame me while traveling on my bike across the valley toward Snake Mountain. She spitted and lashed me with wind driven sprinkles of rain, just bothersome enough to remind me that I was alive. The leaves above me dashed and rattled about, stubbornly hanging on. For once, the wind was with me as I sailed along the graveled road, often careening a high speed for me. This was going well.

_Molecular data, kept here for reference_
'''
Record 1
Density functional theory data (wB97M-V/def2-TZVPD) for a cluster of 2 separate species, C2H8N4 in total at a distorted geometry.

net charge: 0
relative energy (zero: lowest compared OMol25 entry of this formula, charge and spin): 501.18 kJ/mol
F_max: 4.603 eV/Å
Kohn-Sham gap (spin up / spin down): 9.2 / 7.5 eV
spin multiplicity: 1

Positions of all 14 atoms, in Å:
1 C -1.199842 0.723861 0.426701
2 C -1.110437 -0.789603 0.053749
3 N -0.148713 1.189946 -0.476667
4 N -0.320774 -0.861055 -1.067638
5 N 0.474338 0.207955 -1.079022
6 N 2.064390 -0.259447 0.382251
7 H -2.143010 1.149839 0.251406
8 H -0.925207 0.793639 1.463322
9 H -0.412691 -1.278496 0.909473
10 H -2.026261 -1.283754 -0.216003
11 H 0.400190 1.873620 0.005546
12 H 0.240936 -1.695268 -1.157824
13 H 2.170628 0.765439 0.561441
14 H 2.936447 -0.536679 -0.056729

Atomic forces in eV per Å
C 1.0 -2.6 -0.6
C 0.1 -1.2 4.4
N -1.8 1.4 1.2
N 1.3 0.7 -2.3
N 3.4 -0.1 -1.2
N -1.1 1.0 0.5
H -1.2 0.7 -0.4
H 0.1 0.4 0.5
H -2.3 0.6 -1.3
H -0.6 -0.3 0.9
H 0.9 0.2 -0.7
H 0.0 0.1 -0.2
H 0.2 -1.0 -0.2
H 0.1 0.1 -0.5

The molecule's Mulliken atomic charges, reported in e, are given here: C -0.46; C -0.43; N -0.12; N -0.11; N -0.32; N -0.63; H 0.32; H 0.23; H 0.29; H 0.29; H 0.30; H 0.32; H 0.14; H 0.17

***

Record 2
Density functional theory data (wB97M-V/def2-TZVPD) for the molecule C2H8N4O2 at a distorted geometry.

net charge: 0
relative energy (zero: lowest compared OMol25 entry of this formula, charge and spin): 474.56 kJ/mol
SMILES string: [H]/N=C(\[O-])[N@H+](N)NCO
F_max: 2.927 eV/Å
Kohn-Sham gap: 10.3 eV
spin multiplicity: 1

Positions of all 16 atoms, in Å:
1 H -3.605895 -0.347884 0.873592
2 N -2.649094 -0.216658 0.589662
3 C -1.798069 -1.155173 0.487764
4 O -1.416804 -2.274993 0.595672
5 N -0.525585 -0.052059 -0.209200
6 N -0.209665 -0.458936 -1.534601
7 N 0.523706 0.084346 0.735800
8 C 1.441072 1.159996 0.495197
9 O 2.236765 1.062754 -0.690473
10 H -1.449038 0.657832 -0.047653
11 H 0.039572 -1.446401 -1.499113
12 H 0.581705 0.080315 -1.878756
13 H 0.956483 -0.825054 0.881518
14 H 2.078822 1.246413 1.380638
15 H 0.866055 2.078949 0.376137
16 H 2.929971 0.406553 -0.556186

Atomic forces in eV per Å
H 0.1 -0.7 0.2
N -0.4 0.5 0.0
C 0.2 0.5 -0.3
O -0.1 -0.2 0.1
N -1.6 0.8 0.5
N -0.1 0.3 0.3
N -0.3 0.2 -0.4
C 0.1 -0.1 0.0
O 0.0 0.0 0.1
H 2.5 -1.3 -0.6
H 0.0 0.1 0.1
H -0.1 -0.1 0.1
H -0.1 0.1 0.0
H 0.0 0.0 -0.1
H 0.0 -0.1 0.0
H 0.0 0.1 0.0

The molecule's Mulliken atomic charges, reported in e, are given here: H 0.22; N -0.64; C 0.54; O -0.52; N 0.06; N -0.62; N -0.31; C -0.39; O -0.55; H 0.43; H 0.26; H 0.32; H 0.24; H 0.34; H 0.30; H 0.32

***

Record 3
Density functional theory data (wB97M-V/def2-TZVPD) for a structure of composition C2H8N4O2Tl at a distorted geometry.

net charge: +3
relative energy (zero: lowest compared OMol25 entry of this formula, charge and spin): 147.46 kJ/mol
F_max: 5.476 eV/Å
Kohn-Sham gap: 2.1 eV
spin multiplicity: 1

Positions of all 17 atoms, in Å:
'''
_End of the molecular data_

In the distance, Snake Mountain rose above the valley, capped with low hanging clouds. Today, there is not likely to be a view from the summit as there was when I was their the last. Also not likely to be many people, being a rainy Tuesday morning. Town Line Road rises slowly up to meet the base of Snake and Ts into Mountain Road. Lickety spit, I was at the trailhead in fifty-eight minutes from starting, way ahead of my goal. I chained my bike to the iron gate and ascended the wooded trail. The well worn corridor once served as a carriage road to bring visitors to the Grand View Hotel that long ago sat on top of the majestic view point looking west across the valley back to the lake and the Adirondacks beyond. Today I will pass up the summit and take the trail down to the east side trailhead on Snake Mountain Road.

During my reconnaissance a couple of weeks ago I did not descend to the east side of the mountain so this was a new experience for me. I will say that the experience was a highlight of the day. Descending the trail revealed wetland complexes and wooded sections with a yellow golden glow that permeated my brain through my hippocampus stimulating memories of past autumn hikes. This has always been an important time of year for me with many profound memories including the birth of my super bonus kid, Abigail Autumn. She is recently enrolled at the University of Vermont. Alas, I digress. This often happens on long distant tours.

Once on the east side trailhead on Snake Mountain Road, I changed into my running clothing. It was unusually mild outside, so running shorts and a lightweight top was all that I needed. I stashed my pack in the weeds and began the road run to pick up the Trail to Prunier Road in Weybridge. Feeling light and unfettered without the pack and gear, I had a fantastic run through the farm lanes and connecting trails around Monument Farms Dairy, finally climbing up to Weybridge Hill and back to my car. Whew!! What an awesome tour, finishing way ahead of my anticipated schedule at 12:07 pm.

With time to kill, I took a leisurely drive back to the Snake Mountain Trailheads to pick up my pack and bike, cruising at a crawl with the windows down, continuing to enjoy the splendor and comfort of this warm autumn afternoon. How lucky was I to have dodged the rain. I was dry all day except for the perspiration from the exertion of the day. Arriving at the Waybury Inn around 2:00pm, hours before I anticipated, I took a bath and enjoyed a deep REM session on the comfortable bed.

Thankfully I did so because I was able to rally and enjoy a fine meeting and conversation on the patio with David Sabatini, a board member of the Moosalamoo Association who has volunteered to give me a ride on day 4. Dave is very enthusiastic about the North Country Trail and the connection to the Long Trail through the Moosalamoo Recreation Area of the Green Mountain National Forest. This is the section of trail that I most look forward to doing along the Oak Ridge Trail and Moosalomoo Mountain Trail on Thursday. Tomorrow, Wednesday, I will be hiking the Trails Around Middlebury picking up where I left off in Weybridge today. It will be raining for sure, so I will be employing my new Patagonia rain jacket for it’s maiden hike.

I have discovered that Vermont has stepped up and is taking the initiative for the NCT Vermont connection and running with it. With the Middlebury Area Land Trust and the Moosalamoo Association as stewards, this will undoubtedly be a success. Knowing that John and David and those that follow have embraced the trail and already established some amazing segments that are worthy and meet the requirements for being included into the formidable network of the North Country National Scenic Trail. Lest I not forget the uniquely generous quality of Vermont landowners that provide pubic access for trails, including Peter James his family at Monument Dairy Farms.

It imbues in me a feeling of humble pride to be among the trail community of Vermont, thinking that “Yeh, we do this here.” Tomorrow I will traverse the TAM and then bike from the Middlebury Recreation Center, back to the Waybury Inn. That is an 11 mile hike/walk and a 6 mile bike ride. Rain, rain, go away. Come again, another day….
I’ll keep you posted.
*Robert Frost – from Nothing Gold Can Stay
Nature’s first green is gold,
Her hardest hue to hold.
Her early leaf’s a flower;
But only so an hour.
Then leaf subsides to leaf.
So Eden sank to grief,
So dawn goes down to day.
Nothing gold can stay.